Fighting againt anxiety disorder

Hallo everybody, I am Lara , I joined this group since 3 weeks ago, I gained18 kg the last year, and now I lost 5 kg, i should loss other 13 kg 26 lbs , but the anxiety in the evenings are a pain on my neck , I can not find or figure out why I look for in the food try to solve my daily troubles of the life. i feel the food can solve or calm me when i am worried for a friendship, an exam, because my future is uncertain and I don´t know what to to , or just because I should correct 200 comments in my thesis,

i am getting crazy and also I am completly alone, I can not go to any psychiatric or psychologist because I am living in a foreign country where they don´t speak english neither my native language,

(Between two parts of the text: molecular data)
+++
(1)
# C18H17AsBiBr2N3O9S

C18H17AsBiBr2N3O9S as an isolated structure (wB97M-V/def2-TZVPD, OMol25).

- Kohn-Sham gap: 7.7 eV
- Total charge: 0
- Relative energy (zero: lowest compared OMol25 entry of this formula, charge and spin): 49.4 kJ/mol
- Highest occupied orbital energy: -8.20 eV

Geometry (Å):
Bi (1.110, -1.028, -0.337)
C (-1.666, -2.392, 3.862)
O (-0.253, -2.240, 3.878)
C (0.289, -1.446, 2.894)
O (-0.220, -1.582, 1.644)
N (1.704, -1.746, 2.956)
N (2.402, -1.086, 1.925)
H (-1.884, -3.209, 4.545)
H (-2.022, -2.642, 2.863)
H (-2.161, -1.486, 4.212)
H (2.048, -1.513, 3.880)
H (3.286, -1.548, 1.761)
H (2.573, -0.100, 2.098)
C (-0.416, -0.750, -3.728)
C (0.720, 0.215, -3.582)
C (0.943, 1.182, -4.588)
C (1.962, 2.074, -4.476)
C (2.835, 2.015, -3.365)
C (3.955, 2.851, -3.167)
Br (4.362, 4.223, -4.411)
C (4.763, 2.687, -2.081)
C (4.487, 1.678, -1.146)
Br (5.625, 1.465, 0.345)
C (3.407, 0.822, -1.271)
O (3.150, -0.140, -0.413)
C (2.563, 1.021, -2.406)
N (1.498, 0.165, -2.517)
H (-0.545, -1.012, -4.776)
H (-1.351, -0.309, -3.378)
H (-0.250, -1.663, -3.155)
H (0.277, 1.207, -5.441)
H (2.121, 2.828, -5.235)
H (5.619, 3.331, -1.935)
O (-0.914, 2.218, 2.196)
As (-0.638, 0.555, 1.701)
O (0.009, -0.043, 3.220)
O (0.700, 0.814, 0.680)
C (-2.494, 0.055, 1.596)
C (-3.238, 0.487, 2.685)
C (-4.560, 0.086, 2.803)
C (-5.130, -0.732, 1.839)
C (-4.392, -1.139, 0.738)
C (-3.068, -0.749, 0.613)
S (-2.214, -1.209, -0.881)
O (-1.649, -2.535, -0.756)
O (-3.164, -1.002, -1.939)
O (-1.108, -0.184, -0.876)
H (-0.137, 2.740, 1.958)
H (-2.782, 1.123, 3.429)
H (-5.146, 0.417, 3.650)
H (-6.165, -1.037, 1.932)
H (-4.840, -1.737, -0.046)

Forces on atoms 1 to 2 (eV/Å):
Bi 0.4030 -0.0964 0.2441
C 0.0278 0.0919 0.0420

Atom charges from the Löwdin analysis, given in e for atoms 1 to 8: 1.97 -0.04 -0.05 -0.76 -0.32 0.02 -0.05 0.10



(2)
# C18H17B3F5O20

C18H17B3F5O20 as an isolated structure in a non-equilibrium geometry (wB97M-V/def2-TZVPD, OMol25).

- Kohn-Sham gap: 6.9 eV
- Total charge: -1
- Highest occupied orbital energy: -5.07 eV

Geometry (Å):
C (-2.695, 0.642, 0.619)
C (-2.342, -0.446, 0.942)
B (-1.924, -1.912, 0.879)
O (-2.887, -2.882, 0.661)
B (-2.487, -3.548, -0.497)
O (-1.258, -4.148, -0.417)
B (-0.298, -3.192, -0.089)
C (1.042, -3.070, -0.938)
O (1.531, -1.913, -1.025)
O (1.516, -4.102, -1.461)
O (-0.619, -2.332, 0.971)
H (-2.981, 1.631, 0.411)
H (-3.132, -3.511, -1.481)
C (-2.297, 4.869, 3.638)
C (-1.893, 3.628, 2.890)
O (-2.868, 3.568, 1.847)
C (-3.246, 4.848, 1.589)
O (-3.839, 5.198, 0.627)
O (-2.852, 5.679, 2.590)
F (-2.010, 2.522, 3.666)
H (-3.064, 4.665, 4.387)
H (-1.454, 5.363, 4.112)
H (-0.897, 3.670, 2.460)
C (4.367, -4.550, -2.522)
C (4.927, -5.941, -2.668)
O (6.303, -5.701, -2.937)
C (6.622, -4.510, -2.347)
O (7.734, -4.140, -2.161)
O (5.513, -3.837, -2.003)
F (4.387, -6.615, -3.720)
H (4.081, -4.124, -3.483)
H (3.512, -4.495, -1.846)
H (4.841, -6.559, -1.773)
C (2.080, 1.119, 0.756)
C (2.517, 0.324, 1.957)
O (2.460, 1.298, 3.008)
+++

I have found the better solution to my troubles pray and DO EXERCISE DAILY; INCREASE MY SELF-esteem . and
lead in the past the stupid behavior I had for some months as bulimic,

I look forward somebody who also suffers because the evenings are synonyms of anxiety or temptation of eat carbohydrates, or some of you who are trying to reach your dreams of be healthy and feel better,
I hope to support us each other, Thanks.


  • grimendale
    grimendale Posts: 2,153 Member
    I feel you. I do work for nuclear plants, so when I travel to site for extended periods, I end up alone in the middle of nowhere with nothing to do and no one to do it with. I usually turned to food at these times since sitting in front of the tv in the dingy hotel room for the second straight month seems a little less depressing with food as a comfort. I've been trying lately to go exercise when I get those cravings. Either I'll go for a long run to tire myself out or I'll put on Netflix and do circuit training in the hotel room while watchin movies. It's not a perfect solution, but it helps. Using Skype to talk to people back home can be a huge burden reliever as well. Hope that helps a little.
  • cupcake_jen
    cupcake_jen Posts: 26 Member
    I have severe generalized anxiety disorder and its no fun. I have about 100 pounds to lose and exercising if the hardest part I can do. Before (only had this anxiety for 6 months) I could get on the treadmill and workout till I sweat. Now I get on and in 5 minutes I feel like imma have a heart attack. I know we make the problems way worse than they are but it's just so hard. Anyways feel free to add me.
  • runningfataway
    Okay, I'm going to go through many Anxiety posts on here and say the same thing over and over again. I too sufferED from anxiety. I will probably have anxiety all throughout my life, that's a given. The problem is how I deal with it, and the coping mechanisms I find along the way. I've tested running out a few times, and I realized that running DRASTICALLY improved my anxiety levels. During class I would feel uncomfortable, and start getting an anxiety attack (excessive blushing, getting hot, having the fight or flee symptom) going on. However I've created a system for myself, and I run exactly the night before classes and during class I still have the runners high to my surprise and feel so good! I feel much more relaxed and focused, whereas on the days I don't run I have terrible low-self esteem and I feel TENSE all the time! Down below is an article someone else has relatively similar experience as me.
    Running doesn't have to be the only form of solution, any type of cardio that allows you to push yourself beyond your own limits and really have your heart pumping would do the trick! Trust me on this, just give it a try.
  • LunarGypsy
    LunarGypsy Posts: 18 Member
    HI there!
    I completely understand what you're going though. I have GAD and pretty much everything makes me anxious and sometimes I want to just give up when I don't see instant results. I would be very happy to lend some support!
  • CynthiasChoice
    CynthiasChoice Posts: 1,047 Member
    I think the Skype idea is great! And the exercise idea, too. Exercising changes your brain chemistry, and improves your outlook tremendously. A few months ago I stopped going on my daily walks because my dog died, and it was just too sad to walk without her. A few weeks later, I started eating compulsively again, and couldn't seem to get my act together. It was very frightening to feel so out of control. Then I realized what was missing - exercise. As soon as I started walking again, up and down steep hills, I felt a shift in my sense of well being and self control. Exercise is like taking a magic pill for my brain.

    I found a list of 8 ways to improve your mood:
    1 Raise your activity level
    2 Spend some time in the sun
    3 Reach out to friends, make a new friend
    4 Rid yourself of a nagging task
    5 Create a more serene environment. (In a hotel, maybe music, candlelight)
    6 Do a good deed (Help someone on MFP!)
    7 Act happy till you feel happy
    8 Learn something new about something that really interests you

    I would add, avoid empty carbs. These definitely make me emotionally unbalanced.

    Seeking happiness isn't a selfish goal - Happy people tend to make others happy.
    I hope you find the answers you're looking for.